Request >
It remains to start at the top of the notes further below and set down each line, ending with the one that has "1.2350".
Data >
'''
--- 1 ---
Molecular formula: C6H16N
Method: DFT, ωB97M-V/def2-TZVPD

**Spin multiplicity**: 2
**Total charge**: 0
**Highest occupied orbital energy (spin up / spin down)**: -8.45 / -9.97 eV
**Kohn-Sham gap (spin up / spin down)**: 9.57 / 9.92 eV

Bonds (Å) are listed after each position.
Element x y z (Å)
1 C 0.6724 2.0566 -0.3409  C2 1.475, H8 1.063, H9 1.088, H10 1.081
2 C 0.2661 0.7175 -0.8068  C1 1.475, C3 1.639, H11 1.145
3 C 0.4428 -0.4037 0.3759  C2 1.639, C4 1.518, C5 1.528, H12 1.084
4 C 1.9019 -0.7020 0.6699  C3 1.518, H13 1.056, H14 1.096, H15 1.084
5 C -0.4156 -1.6146 0.0149  C3 1.528, C6 1.565, H16 1.078, H17 1.126
6 C -0.4514 -2.7856 1.0519  C5 1.565, H18 1.117, H19 1.101, H20 1.134
7 N -2.0947 2.3815 -0.9545  H21 1.034, H22 0.997, H23 1.050
8 H 0.6098 2.7837 -1.1144  C1 1.063
9 H 0.0357 2.5096 0.4162  C1 1.088
10 H 1.7079 2.2033 -0.0676  C1 1.081
11 H 0.7619 0.3587 -1.7741  C2 1.145
12 H 0.1326 0.0885 1.2907  C3 1.084
13 H 2.0699 -0.8467 1.7020  C4 1.056
14 H 2.3928 -1.3085 -0.0991  C4 1.096
15 H 2.3843 0.2464 0.4624  C4 1.084
16 H -1.3926 -1.2026 -0.1800  C5 1.078
17 H -0.2211 -1.9441 -1.0437  C5 1.126
18 H -0.8072 -3.7396 0.5918  C6 1.117
19 H 0.5025 -2.9964 1.5601  C6 1.101
20 H -1.1655 -2.4996 1.8857  C6 1.134
21 H -1.4095 1.6106 -0.8855  N7 1.034
22 H -2.6520 2.2856 -0.1334  N7 0.997
23 H -2.7839 2.1719 -1.7188  N7 1.050


--- 2 ---
Molecular formula: C6H16N
Method: DFT, ωB97M-V/def2-TZVPD

**Spin multiplicity**: 2
**Total charge**: 0
**Highest occupied orbital energy (spin up / spin down)**: -3.49 / -11.27 eV
**Kohn-Sham gap (spin up / spin down)**: 4.41 / 12.04 eV

Bonds (Å) are listed after each position.
Element x y z (Å)
1 C -1.0730 1.4173 -1.0688  C2 1.608, H8 1.173, H9 1.109, H10 1.081
2 C -0.2346 0.0508 -0.9510  C1 1.608, C3 1.529, N7 1.721, H11 1.202
3 C -0.7601 -0.8977 0.1269  C2 1.529, C4 1.550, H12 1.178, H13 1.065
4 C -0.7742 -0.0784 1.4429  C3 1.550, C5 1.550, H14 1.137, H15 1.243
5 C 0.5892 0.6398 1.6108  C4 1.550, C6 1.500, H16 1.034, H17 1.056
6 C 1.7737 -0.2744 1.7106  C5 1.500, H18 1.219, H19 1.128, H20 1.059
7 N -0.0277 -0.8406 -2.4085  C2 1.721, H21 0.987, H22 1.048, H23 1.022
8 H -0.4136 2.0783 -1.7791  C1 1.173
9 H -2.0266 1.1790 -1.5834  C1 1.109
10 H -1.1238 1.9822 -0.1487  C1 1.081
11 H 0.9280 0.2371 -0.7103  C2 1.202
12 H -1.8011 -1.2985 -0.2512  C3 1.178
13 H -0.0634 -1.6994 0.2087  C3 1.065
14 H -0.9297 -0.8345 2.2784  C4 1.137
15 H -1.6969 0.7531 1.3872  C4 1.243
16 H 0.6012 1.2112 0.7495  C5 1.034
17 H 0.5107 1.3878 2.3524  C5 1.056
18 H 1.7956 -1.0629 0.7808  C6 1.219
19 H 1.7804 -0.9673 2.6012  C6 1.128
20 H 2.7677 0.0853 1.6383  C6 1.059
21 H 0.2481 -0.1704 -3.0780  N7 0.987
22 H 0.7796 -1.4951 -2.2707  N7 1.048
23 H -0.8495 -1.4026 -2.6379  N7 1.022


Result of the stability comparison: 1 is the most stable of them.


--- 1 ---
Molecular formula: C3H12N2O2
Method: DFT, ωB97M-V/def2-TZVPD

**Spin multiplicity**: 2
**Total charge**: -1
**Highest occupied orbital energy (spin up / spin down)**: 1.21 / -3.43 eV
**Kohn-Sham gap (spin up / spin down)**: 2.76 / 7.33 eV

Bonds (Å) are listed after each position.
Element x y z (Å)
1 C -0.9755 1.1232 0.9511  C2 1.572, H6 1.097, H7 1.093, H8 1.084
2 C -1.5645 0.6165 -0.4158  C1 1.572, N3 1.445, H9 1.118, H10 1.088
3 N -0.5727 0.1162 -1.3393  C2 1.445, C4 1.410, H11 1.028
4 C 0.0400 -1.1531 -1.3262  N3 1.410, N5 1.314, H12 1.099
5 N 1.2919 -1.2763 -1.7051  C4 1.314, H13 1.016
6 H -0.0768 1.6817 0.6603  C1 1.097
7 H -0.6303 0.3082 1.5930  C1 1.093
8 H -1.6402 1.8189 1.4507  C1 1.084
9 H -2.2735 -0.2067 -0.1533  C2 1.118
10 H -2.1523 1.4349 -0.8264  C2 1.088
11 H -0.1170 0.8463 -1.9012  N3 1.028
12 H -0.6713 -1.9777 -1.1792  C4 1.099
13 H 1.7578 -0.3946 -1.9007  N5 1.016
14 H 2.7870 0.7329 -0.0668  O16 0.936
15 H 2.5036 1.4767 1.2350  O16 0.958
16 O 2.8968 1.5558 0.3650  H14 0.936, H15 0.958
17 H -0.4020 -2.8578 1.9086  O19 0.914
18 H 0.1894 -1.8776 0.9465  O19 0.958
19 O -0.3904 -1.9675 1.7039  H17 0.914, H18 0.958


--- 2 ---
'''
Solution >
--- 1 ---
Molecular formula: C6H16N
Method: DFT, ωB97M-V/def2-TZVPD

**Spin multiplicity**: 2
**Total charge**: 0
**Highest occupied orbital energy (spin up / spin down)**: -8.45 / -9.97 eV
**Kohn-Sham gap (spin up / spin down)**: 9.57 / 9.92 eV

Bonds (Å) are listed after each position.
Element x y z (Å)
1 C 0.6724 2.0566 -0.3409  C2 1.475, H8 1.063, H9 1.088, H10 1.081
2 C 0.2661 0.7175 -0.8068  C1 1.475, C3 1.639, H11 1.145
3 C 0.4428 -0.4037 0.3759  C2 1.639, C4 1.518, C5 1.528, H12 1.084
4 C 1.9019 -0.7020 0.6699  C3 1.518, H13 1.056, H14 1.096, H15 1.084
5 C -0.4156 -1.6146 0.0149  C3 1.528, C6 1.565, H16 1.078, H17 1.126
6 C -0.4514 -2.7856 1.0519  C5 1.565, H18 1.117, H19 1.101, H20 1.134
7 N -2.0947 2.3815 -0.9545  H21 1.034, H22 0.997, H23 1.050
8 H 0.6098 2.7837 -1.1144  C1 1.063
9 H 0.0357 2.5096 0.4162  C1 1.088
10 H 1.7079 2.2033 -0.0676  C1 1.081
11 H 0.7619 0.3587 -1.7741  C2 1.145
12 H 0.1326 0.0885 1.2907  C3 1.084
13 H 2.0699 -0.8467 1.7020  C4 1.056
14 H 2.3928 -1.3085 -0.0991  C4 1.096
15 H 2.3843 0.2464 0.4624  C4 1.084
16 H -1.3926 -1.2026 -0.1800  C5 1.078
17 H -0.2211 -1.9441 -1.0437  C5 1.126
18 H -0.8072 -3.7396 0.5918  C6 1.117
19 H 0.5025 -2.9964 1.5601  C6 1.101
20 H -1.1655 -2.4996 1.8857  C6 1.134
21 H -1.4095 1.6106 -0.8855  N7 1.034
22 H -2.6520 2.2856 -0.1334  N7 0.997
23 H -2.7839 2.1719 -1.7188  N7 1.050


--- 2 ---
Molecular formula: C6H16N
Method: DFT, ωB97M-V/def2-TZVPD

**Spin multiplicity**: 2
**Total charge**: 0
**Highest occupied orbital energy (spin up / spin down)**: -3.49 / -11.27 eV
**Kohn-Sham gap (spin up / spin down)**: 4.41 / 12.04 eV

Bonds (Å) are listed after each position.
Element x y z (Å)
1 C -1.0730 1.4173 -1.0688  C2 1.608, H8 1.173, H9 1.109, H10 1.081
2 C -0.2346 0.0508 -0.9510  C1 1.608, C3 1.529, N7 1.721, H11 1.202
3 C -0.7601 -0.8977 0.1269  C2 1.529, C4 1.550, H12 1.178, H13 1.065
4 C -0.7742 -0.0784 1.4429  C3 1.550, C5 1.550, H14 1.137, H15 1.243
5 C 0.5892 0.6398 1.6108  C4 1.550, C6 1.500, H16 1.034, H17 1.056
6 C 1.7737 -0.2744 1.7106  C5 1.500, H18 1.219, H19 1.128, H20 1.059
7 N -0.0277 -0.8406 -2.4085  C2 1.721, H21 0.987, H22 1.048, H23 1.022
8 H -0.4136 2.0783 -1.7791  C1 1.173
9 H -2.0266 1.1790 -1.5834  C1 1.109
10 H -1.1238 1.9822 -0.1487  C1 1.081
11 H 0.9280 0.2371 -0.7103  C2 1.202
12 H -1.8011 -1.2985 -0.2512  C3 1.178
13 H -0.0634 -1.6994 0.2087  C3 1.065
14 H -0.9297 -0.8345 2.2784  C4 1.137
15 H -1.6969 0.7531 1.3872  C4 1.243
16 H 0.6012 1.2112 0.7495  C5 1.034
17 H 0.5107 1.3878 2.3524  C5 1.056
18 H 1.7956 -1.0629 0.7808  C6 1.219
19 H 1.7804 -0.9673 2.6012  C6 1.128
20 H 2.7677 0.0853 1.6383  C6 1.059
21 H 0.2481 -0.1704 -3.0780  N7 0.987
22 H 0.7796 -1.4951 -2.2707  N7 1.048
23 H -0.8495 -1.4026 -2.6379  N7 1.022


Result of the stability comparison: 1 is the most stable of them.


--- 1 ---
Molecular formula: C3H12N2O2
Method: DFT, ωB97M-V/def2-TZVPD

**Spin multiplicity**: 2
**Total charge**: -1
**Highest occupied orbital energy (spin up / spin down)**: 1.21 / -3.43 eV
**Kohn-Sham gap (spin up / spin down)**: 2.76 / 7.33 eV

Bonds (Å) are listed after each position.
Element x y z (Å)
1 C -0.9755 1.1232 0.9511  C2 1.572, H6 1.097, H7 1.093, H8 1.084
2 C -1.5645 0.6165 -0.4158  C1 1.572, N3 1.445, H9 1.118, H10 1.088
3 N -0.5727 0.1162 -1.3393  C2 1.445, C4 1.410, H11 1.028
4 C 0.0400 -1.1531 -1.3262  N3 1.410, N5 1.314, H12 1.099
5 N 1.2919 -1.2763 -1.7051  C4 1.314, H13 1.016
6 H -0.0768 1.6817 0.6603  C1 1.097
7 H -0.6303 0.3082 1.5930  C1 1.093
8 H -1.6402 1.8189 1.4507  C1 1.084
9 H -2.2735 -0.2067 -0.1533  C2 1.118
10 H -2.1523 1.4349 -0.8264  C2 1.088
11 H -0.1170 0.8463 -1.9012  N3 1.028
12 H -0.6713 -1.9777 -1.1792  C4 1.099
13 H 1.7578 -0.3946 -1.9007  N5 1.016
14 H 2.7870 0.7329 -0.0668  O16 0.936
15 H 2.5036 1.4767 1.2350  O16 0.958